Kelly Burris
Intellectual Property Attorney
Brinks Hofer Gilson & Lione
Ann Arbor, Mich.
Thanks in part to a Supreme Court ruling last year (KSR International vs. Teleflex) patents are becoming more difficult to obtain and enforce. Other efforts may broaden the authority of the U.S. Patent and Trademark Office and severely limit the rights of patent applicants. And this is amid fundamental changes to patent laws that aim to move the U.S. from a “first to invent” to a “first to file” approach practiced throughout most of the world. Thus, it’s a good time for companies to reevaluate the best approach to intellectual property (IP) protection.
Deciding between patents and trade secrets can be critical to a company’s long-term viability. Key factors include costs, how long the process or product requires protection, and whether trade secrets can remain confidential without others independently creating the same information. A patent is a property right that offers a 20-year monopoly preventing others from practicing the invention during that time, and is one of the broadest forms of IP protection. However, a key question is whether the product or process will be viable in 20 years. If it’s timeless, a trade secret may be the best option.
Trade secrets, often referred to as “know-how,” derive economic value from not being generally known and are the subject of efforts to maintain the secrecy. Probably the most-famous one is the recipe for Coca-Cola. Trade secrets can provide a monopoly forever as long as a company keeps the information under wraps. So a key factor is whether or not the process or product can be reverse engineered. If so, then the information is not entitled to tradesecret protection.
== Inserted here: calculated crystals ==
/*
No. 1
SiMo2Cl: relaxed, PBE.

a = 2.9133 Å, b = 2.9133 Å, c = 24.7957 Å
α = 90.00°, β = 90.00°, γ = 120.00°
Positions (direct):
1 Si 0.0000 0.0000 0.0000
2 Si 0.3333 0.6667 0.6667
3 Si 0.6667 0.3333 0.3333
4 Mo 0.0000 0.0000 0.2514
5 Mo 0.0000 0.0000 0.7486
6 Mo 0.3333 0.6667 0.4152
7 Mo 0.3333 0.6667 0.9181
8 Mo 0.6667 0.3333 0.0819
9 Mo 0.6667 0.3333 0.5848
10 Cl 0.0000 0.0000 0.5000
11 Cl 0.3333 0.6667 0.1667
12 Cl 0.6667 0.3333 0.8333

Values from the calculation:
volume = 182.3 Å³/cell
raw formation energy = 99 kJ/mol of formula units
space-group type = No. 166
energy above the lowest structure with this stoichiometry = 1.04 eV/f.u.

---

No. 2
Tb2CeAl3: relaxed, PBE.

a = 8.0815 Å, b = 8.0815 Å, c = 7.3778 Å
α = 90.00°, β = 90.00°, γ = 143.21°
Positions (direct):
1 Tb 0.0000 0.0000 0.0000
2 Tb 0.0000 0.0000 0.5000
3 Tb 0.3313 0.6687 0.0000
4 Tb 0.6687 0.3313 0.0000
5 Ce 0.3323 0.6677 0.5000
6 Ce 0.6677 0.3323 0.5000
7 Al 0.1637 0.8363 0.2424
8 Al 0.1637 0.8363 0.7576
9 Al 0.5000 0.5000 0.2430
10 Al 0.5000 0.5000 0.7570
11 Al 0.8363 0.1637 0.2424
12 Al 0.8363 0.1637 0.7576

Values from the calculation:
volume = 288.6 Å³/cell
space-group type = No. 65
energy relative to the elements = -347 meV per atom

=====

# 1
A plane-wave DFT calculation with PBE was carried out for a relaxed structure of BaSe3.

Structure (POSCAR):
```
BaSe3
1.0
7.4196 0.0000 0.0000
0.0000 7.4196 0.0000
0.0000 0.0000 4.2891
Se Ba
6 2
direct
0.3085 0.1915 0.5132
0.6915 0.8085 0.5132
0.5000 0.0000 0.8237
0.1915 0.6915 0.4868
0.8085 0.3085 0.4868
0.0000 0.5000 0.1763
0.0000 0.0000 0.0000
0.5000 0.5000 0.0000
```

## Properties
formation energy (no corrections)	-1.041	eV per atom
M_tot	0.00	Bohr magnetons per cell
V	29.51	Å³/atom

***

# 2
A plane-wave DFT calculation with PBE was carried out for a relaxed structure of BaSe.

Structure (POSCAR):
```
BaSe
1.0
-4.1961 -1.9823 6.8927
2.6234 3.9936 6.7982
-3.5446 0.1577 -7.5138
Ba Se
3 3
direct
0.1125 0.8469 0.2656
0.7536 0.0000 0.7536
0.4186 0.1531 0.2656
0.4179 0.3492 0.0688
0.0805 0.5000 0.5805
0.7196 0.6508 0.0688
```

## Properties
DOS at the Fermi energy	0.00	states/eV/cell
formation energy (no corrections)	-1.879	eV per atom
M_tot	0.00	Bohr magnetons per cell
V	39.92	Å³/atom

***

# 3
A plane-wave DFT calculation with PBE was carried out for a relaxed structure of Ba2SiSe4.

Structure (POSCAR):
```
Ba2SiSe4
1.0
-1.3776 -5.9260 3.7009
-1.9254 -4.5299 -7.9701
12.5976 -3.5640 -1.0176
Si Ba Se
4 8 16
direct
0.2500 0.7289 0.4232
0.7500 0.2711 0.5768
0.7500 0.7711 0.9232
0.2500 0.2289 0.0768
0.2500 0.6216 0.0728
0.7500 0.5164 0.3372
0.2500 0.1216 0.4272
0.7500 0.8784 0.5728
0.2500 0.4836 0.6628
0.7500 0.3784 0.9272
0.7500 0.0164 0.1628
0.2500 0.9836 0.8372
0.0120 0.1751 0.6482
0.9880 0.8249 0.3518
0.2500 0.9869 0.0944
0.7500 0.5131 0.5944
0.2500 0.8142 0.5873
0.5120 0.3249 0.1482
0.2500 0.3142 0.9127
0.2500 0.4869 0.4056
0.7500 0.0131 0.9056
0.4880 0.6751 0.8518
0.0120 0.6751 0.8518
0.9880 0.3249 0.1482
0.7500 0.1858 0.4127
*/
And worse, if a competitor independently develops the information, they can then file for patent protection and stop the original inventor from using it. In that case, a patent is likely the better option.
Manufacturing is unique in that one can see the final product yet have no idea what process created it. And even general techniques such as molding give no indication as to processing temperatures, pressures, and cycle times. Should such a process rely on a patent or trade secret? Again, decide based on factors such as the ability to reverse engineer the process and its long-term viability.
Patenting demands significant time and typically costs more than maintaining trade secrets. But trade secrets aren’t free. While there are no governmental fees or formal filing processes, there typically are internal costs associated with properly maintaining a trade secret. More importantly, in litigation, courts demand proof that a trade secret was truly treated as a secret. That means precise and sometimes costly security measures must be in place. For example, if employees are not bound by a nondisclosure agreement, contractors and vendors have easy access, or if there are no security protocols to protect the information, it’s highly unlikely a court will consider it a legitimate trade secret.
Brinks Hofer Gilson & Lione ( specializes in intellectual property and unfair-competition litigation, patents, trade secrets, intellectual asset management, and technology licensing agreements.
Edited by Kenneth Korane